During many decades Georgia conducted the nationalist and chauvinistic policy in relation to ethnic people living on territories controllable by her. On all extent of 20-th century this policy basically has been directed mainly against the Armenians living in Samtskhe-Javakhk, Kvemo-qartli, Kaheti, Tiflis, Sukhum, etc.

What kind of consequences brought this policy? Was it possible for Georgian government to assimilate or to oblige the Armenian population to leave their historical native land?
At the beginning of 1918 the population of present territory of South Caucasus was 6.500.000, from which 2.450.000 Muslims, 1.650.000 Armenians, 1.600.000 Georgians and 800.000 representatives of other nationalities. [1]
Georgians basically lived in Tiflis and Kutais provinces, tatars (Azerbaijanians) in Elizavetpol and Baku provinces. What concerns to Armenians of Transcaucasia their number in former Transcaucasian provinces was following:
Yerevan province – 600.000 Armenians
Elizavetpol province – 400.000 Armenians
Baku province – 110.000 Armenians
Kars region – 110.000 Armenians
Tiflis Province (including Zakatal region) – 400.000 Armenians
The Kutaisi province (With the Batumi area and Suhum district) – 35.000 Armenians [2].
To the number of 1.650.000 native Armenians of South Caucasus it is necessary to add also more than 600.000 Armenians-refugees from the Western Armenia the majority of which has found a shelter within the limits of new established Armenian republic, and nearby 150.000-200.000 [3] have to pass over the Georgia, pursuing the purpose to make the way to Northern Caucasus.
Appropriate to statistics of 1918 a significant part of the Armenian population lived in the territory which became a part of the Georgian republic. In 1918 number of Georgians in Georgia did not exceed 50% (1.500.000) [4], and Armenians 30% (500.000-600.000) [5] their significant part lived in the city of Tiflis, consisting 46% of population of this 350.000-th city. Other part of the Armenian population lived basically on the historical native land – on a southern part which officially was a part of the Georgian Menshevist Republic.
Inserted here: calculated crystals:
+++
(1)
# ZrAgMo (PBE-GGA, optimized geometry)
# * energy of formation: 2.86 eV/f.u.
# * space group: F-43m (216)
data_ZrAgMo
_chemical_formula_sum 'Zr1 Ag1 Mo1'
_cell_length_a 4.5098
_cell_length_b 4.5098
_cell_length_c 4.5098
_cell_angle_alpha 60.00
_cell_angle_beta 60.00
_cell_angle_gamma 60.00
_space_group_name_H-M_alt 'P 1'
_space_group_IT_number 1
_space_group_name_Hall 'P 1'
loop_
_atom_site_label
_atom_site_type_symbol
_atom_site_fract_x
_atom_site_fract_y
_atom_site_fract_z
_atom_site_occupancy
Ag1 Ag 0.7500 0.7500 0.7500 1
Zr1 Zr 0.5000 0.5000 0.5000 1
Mo1 Mo 0.0000 0.0000 0.0000 1

(2)
# HoCuSi (PBE-GGA, optimized geometry)
# * energy of formation: -1.83 eV/f.u.
# * space group: P-6m2 (187)
# * E (MP2020): -15.94 eV per cell
data_HoCuSi
_chemical_formula_sum 'Ho1 Cu1 Si1'
_cell_length_a 4.0446
_cell_length_b 4.0446
_cell_length_c 3.9921
_cell_angle_alpha 90.00
_cell_angle_beta 90.00
_cell_angle_gamma 120.00
_space_group_name_H-M_alt 'P 1'
_space_group_IT_number 1
_space_group_name_Hall 'P 1'
loop_
_atom_site_label
_atom_site_type_symbol
_atom_site_fract_x
_atom_site_fract_y
_atom_site_fract_z
_atom_site_occupancy
Si1 Si 0.0000 0.0000 0.5000 1
Cu1 Cu 0.6667 0.3333 0.5000 1
Ho1 Ho 0.3333 0.6667 0.0000 1

(3)
# BaYBr5 (PBE-GGA, optimized geometry)
# * energy of formation: -16.41 eV/f.u.
# * space group: P2_1/c (14)
# * E (MP2020): -263.84 eV per cell
# * relative energy among the computed polymorphs: 0.029 eV/atom
data_BaYBr5
_chemical_formula_sum 'Ba8 Y8 Br40'
_cell_length_a 9.8738
_cell_length_b 14.5356
_cell_length_c 21.3822
_cell_angle_alpha 47.82
_cell_angle_beta 90.00
_cell_angle_gamma 90.00
_space_group_name_H-M_alt 'P 1'
_space_group_IT_number 1
_space_group_name_Hall 'P 1'
loop_
_atom_site_label
_atom_site_type_symbol
_atom_site_fract_x
_atom_site_fract_y
_atom_site_fract_z
_atom_site_occupancy
Br1 Br 0.9308 0.3675 0.4458 1
Br2 Br 0.0323 0.6394 0.0565 1
Br3 Br 0.4796 0.0272 0.1338 1
Br4 Br 0.9367 0.3028 0.7772 1
Br5 Br 0.9677 0.3606 0.9435 1
Br6 Br 0.4802 0.0137 0.6535 1
Br7 Br 0.4677 0.6394 0.5565 1
Br8 Br 0.7752 0.0626 0.9810 1
Br9 Br 0.2645 0.3176 0.1081 1
Br10 Br 0.0633 0.6972 0.2228 1
Br11 Br 0.2355 0.3176 0.6081 1
Br12 Br 0.5204 0.9728 0.8662 1
Br13 Br 0.4308 0.6325 0.0542 1
Br14 Br 0.2455 0.4201 0.2818 1
Br15 Br 0.0680 0.7079 0.7069 1
Br16 Br 0.2248 0.9374 0.0190 1
Br17 Br 0.5198 0.9863 0.3465 1
Br18 Br 0.7355 0.6824 0.8919 1
Br19 Br 0.0692 0.6325 0.5542 1
Br20 Br 0.9320 0.2921 0.2931 1
Br21 Br 0.7748 0.2459 0.1547 1
Br22 Br 0.0204 0.0272 0.6338 1
Br23 Br 0.2252 0.7541 0.8453 1
Br24 Br 0.0198 0.0137 0.1535 1
Br25 Br 0.9802 0.9863 0.8465 1
Br26 Br 0.5323 0.3606 0.4435 1
Br27 Br 0.5680 0.2921 0.7931 1
Br28 Br 0.7645 0.6824 0.3919 1
Br29 Br 0.9796 0.9728 0.3662 1
Br30 Br 0.5692 0.3675 0.9458 1
Br31 Br 0.7545 0.5799 0.7182 1
Br32 Br 0.2545 0.4201 0.7818 1
Br33 Br 0.7252 0.2459 0.6547 1
Br34 Br 0.7455 0.5799 0.2182 1
Br35 Br 0.4367 0.6972 0.7228 1
Br36 Br 0.4320 0.7079 0.2069 1
Br37 Br 0.5633 0.3028 0.2772 1
+++
At the beginning of 1918 in Akhalkalak region had 120,000 population, from which Armenians 89,000 (74%), turks 8000 (7%), representatives of other nationalities 23.000 (19%) [6]

During this period in Ahalkalak district there were 111 villages from which 66 were Armenian, 24 – Turkish, 9 – Russian, 10 Georgian (including former Armenian villages Vargav and Hzabavra, the population of which had assimilated with Georgians), and one village with the Armenian-Georgian mixed population.
Thousands of Armenian families lived also in Borchalu. In 1916 the number of Armenians in this district exceeded 69.000 (40.5), Tatars – 50.000 (2.3), Greeks – 30.500 (17.8), Russians – 10.000 (5.8), Georgians – 7.600 (4.1) Germans – 4.000 (2.4).

At the beginning of 1918 Armenians were the comparative majority of Borchalu district.
The first successes of assimilation of Armenian population by Georgians could be easily seen in the beginning of 20-th century when the majority of Armenians-Catholics (more than 15.000) who lived in Tiflis province, were assimilated with Georgians in the period less than two decades (for example Hzabavra, Vargav, Bnel, Hetz, Shaft, Bolodjar, Asral, Abastuman, Ude, Ivlata and other villages with Armenian-Catholic population.
In the beginning of 1917 in Tiflis and Kutais provinces have begun strong oppressions against Armenians. In 1918 these oppressions began to get more severe character as the anti-Armenian policy was coordinated and executed by Menshevist circles of the government of Georgia. This policy has led to decrease in number of the Armenian population within the Georgia.
The fact that the Georgian authorities haven’t allowed the Armenian-refugees inside borders of Georgia to pass to North Caucasus or to return home leaved them without a roof over the head and food, doomed them to destruction. So in 1918-1920 every day on territory of the Georgian republic from a cold, famine and different illnesses were being died more than 1000 Armenians-refugees. [7]
During the Armenian-Georgian war in December 1919 which has been provoked by a Menshevist government, tens of thousands of Armenians had been exiled in concentration camps on territory of Georgia. Majority of those Armenians never returned to their homes. Already in 1926, on territory of the Soviet Georgia remained only 279.891 Armenians (according to census 1926). They were only 11,8% of all population of the country whereas in 1918 the number of Armenians was nearby 30%. Basically the number of Armenians was reduced due to the died refugees, the genocide of Armenians in Borchalu district and due leaving the Armenian population from Tiflis.
For this little period Armenian population of Georgia was decreased by half – from 600.000 up to 300.000 person.
Can we call this phenomenon a white genocide ? A genocide of Armenians in Georgia which sometimes got severe character – similar with the Genocide of Armenians in Ottoman empire.
Today, native Armenian population of Samtskhe-Javakhk and Tzalka somehow tries to resist against the anti-Armenian policy of Georgian government.
Let’s remind, that in the first years of Soviet system ruling in Georgia, on the territory of today’s Samtzske-Dzhavakhk region lived 200402 persons. The Region had following national structure [8].
1. Armenians – 109,748 (54.8),
2. Turk-meskhetzs (including all Moslems) – 57.079 (28.5),
3. Georgians – 18.536 (9.2),
4. Other nationalities – 15.040 (7.5):
As we see, Armenians made overwhelming majority in Samtskhe-Jaavakhk, Turk-meskhets 1/4 and Georgians – obvious minority.
In 1944 by decision of a government of the USSR the Turkish population of Samtskhe-Javakhk (already about. 100.000 person) has been exiled to Kazakhstan and Uzbekistan. Their former residences have been populated by Georgians from Imereti [9]. From 120 villages left by Turks-meskhetzs 115 were in Adigen, Axaltzxa and Aspindza administrative areas from which 65 have been resettled by the alien Georgian population from Imereti. Other villages became basically thrown. Only 5 villages (Sagamo, Xavet, Erindja, Davnia, Karsep) were in Akhalkalak (4) and Bogdanovka (1) areas which in a consequence have been populated by Armenians. The Georgian local government forbade Armenian population to settle the thrown villages, and has agreed on it only when has seen, that the Georgian newcomers have flatly refused to settle and live there in these severe climatic conditions.
Today there are numerous debates about returning the turks-meskhetzs on former places of residing. It is necessary to note, that from those left 120 villages in 65 lives Georgians, about 50 settlements are thrown and now have already ruined, and only in 5 villages belonged turks-meskhetzs, now live Armenians.
So, becomes obvious, that the slightest attempt to return Turkic ethnic minority in edge will provocated a tension situation, first of all for the Georgian population, who occupied former turks-meskhetzs settlements. The little conflict between the local Georgian population and immigrants can strongly destabilize the all region, and Georgia will loss the territories which has been ”won’’ from Armenians.
Deportation nearby 100.000 turks-meskhetzs has noticeably changed demographic picture of Samtskhe-Javakhk. According to census of 1979 the population of region had approximately 190.000 person. Armenians are 124.000 (65.3%), – Georgians 44000 (23.2%), and others – Russians, Ukrains, Greeks, Jews, etc.
According to census of 1979, administrative area Samtskhe-Javakhk had following national structure,
1. area Adigen – the population 20.000
Armenians – 1213 (6.1%)
Georgians – 17287 (86,4%)
Other nationalities – (7,5%)
2. area Akhaltskha – the population 50.350
Armenians – 24036 (47,7%)
Georgians – 21702 (43,1%)
Other nationalities – (9,2%)
3. area Akhalkalak – the population 69.455
Armenians – 63892 (91,9%)
Georgians – 2867 (4,2%)
Other nationalities – (3,9%)
4. area Aspindza – the population 12411
Armenians – 2686 (21,6%)
Georgians – 9725 (78,4%)
5. area Bogdanovka – the population 36632
Armenians – 32331 (88,3%)
Russian – 3830 (10,5)%
Georgians – 370 (1%)
Representatives of Other nationalities – (0,2%)
In the same 1979, Dnamis, Bolnis and Marneul (3 from 5 areas of former Borchalu district) had 120.000 inhabitants. More than 90.000 were descendants of shiits turks (azeries), Armenians were 20.000, and the other part of the population were the representatives of other nationalities, including Georgians. In area Tetri-Txarsk from 36.000 person nearby 6.000 were Armenians, Georgians were 25.000, the others – representatives of other nationalities. An aggregate number of the population in Tsalka area made 40.000 person, from whom Greeks were approximately 16.000, Armenians – 14.000, the others – representatives of other nationalities, including Georgians and azeris.
If we take 1918 – 1979 interval, we shall see, that the Armenian population in Samtskhe-Javakhk has increased only for some thousand person. It proves the fact that it is impossible to trust data of census unequivocally on 100%. However the facts beat in a bell, and to escape from them isn’t probably. For last 60 years the Georgian leaders excellent managed not only a policy of not admitting a natural increase of the Armenian population on all territory of the Georgian Soviet republic, but also organize the maximal outflow and assimilation. In particular, number of Armenians in territory of former district Borchalu for last 60 years was decrease almost by half, and in a percentage parity of the general number of the population at least in 4 times.
Only for last 40-50 years more than 200,000 Armenians have been compelled to change the Armenian termination of their surnames “ian” on Georgian “dze” and “shvili”.
The statistics shows, that for 70 years the Armenian population of Georgia was reduced at least in 2 times from 600,000 up to 300,000-250.000, and in a percentage parity from the general number of the population at least in 5 times hole 30% up to 6%.
Despite of these horrifying numbers, nevertheless it is obvious, that the Georgian policy of nationalism or a white genocide of Armenians has not crowned desirable success for them. This fact is proved with materials of census 1989 and 2002. We shall compare them:
According with 1989 census in Georgia, Armenians were 360.000 according to 2002 census this number has decreased up to 250.000. It is necessary to note, when in 1989 in Georgia was spent the population census, in this period Abkhazia and South Ossetia were been in structure of Georgian SSR. In this states lived nearby 85.000 Armenians. Thus, excepting independent formations from structure of Georgian Republic we shall receive about 290.000 Armenians in republic.
Considering the fact, that for last 15 years Georgia has left more than one and a half million person it is possible to tell with confidence, that the Armenian population even if we trust 2002 statistics in a percentage parity has decreased slightly in comparison with the Georgian population of the country. However it doesn’t mean that the situation of Armenians in Georgia became better than 20 years ago, even on the contrary, the anti-Armenian moods in the country lately have noticeably risen, and government of Saakashvili conducts a policy with more dangerous methods.
This analysis showed with what persistence the Georgian government tried and try to supersede, kill and assimilate in every possible way the Armenian population, finally, having reduced it up to symbolical number.
Wondering, that for last 60 years the Georgian leaders never thought that replacement of the Armenian ethno cultural element can lead to significant changes of ethno religious shape of the Georgian statehood. As we see, on a place of Armenian-Christians which during centuries peacefully coexisted on the native ground, in the neighborhood with Georgians, are coming shiit turk-meskhets (read azeris) which proceeding from an ethno cultural and religious structure, completely can’t be integrated into the Georgian reality and a way of their life. More likely the contrary, the history shows, that this ethnic element of Georgia is adjusted by aggressive passion on all “not Azerbaijan”.
In days of the USSR demographic parameters of ethnic Azerbaijanians were high enough. On statistical data of 1989, on one thousand Georgian about 16 children, the same parameter in relation to the Azerbaijan minority of the country had about 29 children on 1000 Azerbaijanians.
For last thirty years of the Soviet authority (1959-1989) number of ethnic Azerbaijanians in Georgia has increased twice. The peak of a population explosion has fallen on 80th years. Parameters of demographic growth among Azerbaijanians of Georgia exceeded even similar parameters in the Azerbaijan Soviet republic. It was promoted by set of factors, including social and economic, and also the fact, that living in Kvemo-Kartli Azerbaijanians felt comfortably enough that it was impossible to tell about Armenians of Samtskhe-Javakhk.
After disintegration of the USSR Azeris in Georgia stand in the face of big problems. Nationalistic government of president Gamsahurdia considered, that fast rates of growth of the Azerbaijan ethnic element in the country can lead to the ethnic conflict. In the beginning 1990 replacement of azers in Marnelul, Bolnis and Dmanissk areas, was reflected of ethnic structure of these areas. In 1989 in Georgia lived 307.600 azers, according to official statistical data, they had 5.7% from an aggregate number of the population of Georgia.
According to 2002 the number of Azerbaijanians was reduced (it is possible to tell about all population of the country), however they became the second ethnic group after the Georgians. According to 2002 their number were 284.761. But in difference from Armenians of Samtskhe-Javakhk, the birth rate of Azeirs are incomparably high, and the percent left the country considerably is low in comparison with Georgians.
According to informal Azerbaijan statistics, number of Azerbaijanians in Georgia vacillate from 350 thousand up to half million. According to some Azerbaijans analysts and demographers number of Azerbaijanians in Georgia makes from 500.000 up to 600 thousand.
According to the most conservative estimates, today the Azerbaijan population almost in 2 times more than number of Armenians in Georgia, 3 times more than population of Abkhazia and in 6 times more than population of South Ossetia.
If Baku and Tiflis has convergence with their national interests it can bring with him a big conflict between Azerbaijan and Georgia.
Being based on the above-stated facts, it is possible to note with confidence, that the policy of the countries of Caucasus under the attitude to each other proceeds in 1918, practically right after declarations of their independence.
The 1918 year became the beginning of territorial claims of three republics that has led to conflicts in Samtskhe-Javakhk, Borchalu, Artzax and in Zakatal district. Conflicts have been actually frozen of Sovietization of Caucasus, however it has not solved the reason and an essence of conflicts.
# Calculated crystals, kept here for reference
********
1.
Below is a relaxed structure of SrCa7TiMn7O20, with properties calculated at the PBE+U level.

## Properties
- Total DFT energy (no corrections): -7.145 eV per atom
- Formation energy: -2.664 eV/atom
- Energy above the most stable polymorph in this dataset: 2.9 kJ/mol of atoms

```
SrCa7TiMn7O20
1.0
11.078 -0.028 -0.168
-0.036 15.562 -0.043
-0.165 -0.026 11.221
Sr Ca Ti Mn O
4 28 4 28 80
Direct
0.999 0.114 0.517
0.512 0.378 0.002
0.247 0.386 0.248
0.229 0.124 0.244
0.980 0.121 0.021
0.992 0.614 0.516
0.983 0.616 0.020
0.539 0.130 0.478
0.546 0.121 0.983
0.546 0.630 0.481
0.550 0.628 0.979
0.516 0.375 0.483
0.527 0.871 0.988
0.517 0.870 0.477
0.964 0.385 0.008
0.955 0.387 0.509
0.957 0.878 0.006
0.953 0.881 0.515
0.237 0.398 0.743
0.239 0.883 0.284
0.236 0.892 0.752
0.761 0.386 0.256
0.774 0.374 0.767
0.747 0.868 0.255
0.747 0.870 0.753
0.228 0.114 0.739
0.227 0.620 0.246
0.225 0.620 0.740
0.769 0.116 0.250
0.778 0.123 0.754
0.779 0.622 0.254
0.784 0.621 0.756
0.989 0.990 0.266
0.246 0.974 0.025
0.260 0.245 0.944
0.984 0.253 0.278
0.992 0.995 0.759
0.999 0.498 0.260
0.998 0.497 0.757
0.503 0.992 0.227
0.505 0.986 0.727
0.506 0.504 0.236
0.503 0.488 0.732
0.246 0.999 0.518
0.233 0.517 0.017
0.245 0.504 0.515
0.750 0.999 0.994
0.737 0.002 0.499
0.748 0.502 0.999
0.743 0.503 0.501
0.273 0.249 0.470
0.271 0.739 0.950
0.272 0.739 0.463
0.756 0.248 0.006
0.745 0.250 0.510
0.759 0.748 0.002
0.755 0.748 0.504
0.997 0.253 0.767
0.997 0.751 0.268
0.000 0.755 0.763
0.523 0.253 0.252
0.507 0.254 0.757
0.508 0.745 0.246
0.510 0.746 0.749
0.594 0.248 0.099
0.568 0.255 0.593
0.595 0.755 0.092
0.588 0.757 0.592
0.404 0.204 0.351
0.392 0.188 0.875
0.399 0.678 0.352
0.401 0.677 0.851
0.906 0.238 0.413
0.904 0.239 0.920
0.905 0.736 0.422
0.910 0.738 0.919
0.149 0.254 0.325
0.177 0.257 0.797
0.166 0.751 0.310
0.173 0.756 0.792
0.655 0.219 0.349
0.658 0.229 0.858
0.658 0.729 0.354
0.660 0.726 0.853
0.861 0.267 0.153
0.863 0.269 0.652
0.861 0.773 0.150
0.859 0.776 0.650
0.355 0.519 0.143
0.351 0.515 0.660
0.363 0.034 0.116
0.348 0.006 0.662
0.854 0.488 0.140
0.849 0.482 0.644
0.865 0.976 0.154
0.839 0.982 0.642
0.157 0.005 0.367
0.197 0.010 0.879
0.162 0.507 0.364
0.160 0.507 0.862
0.634 0.023 0.349
0.626 0.025 0.834
0.638 0.526 0.353
0.629 0.517 0.847
0.886 0.010 0.396
0.897 0.015 0.900
0.888 0.515 0.396
0.890 0.514 0.892
0.098 0.476 0.121
0.096 0.475 0.619
0.114 0.967 0.121
0.098 0.975 0.625
0.605 0.504 0.094
0.588 0.497 0.584
0.605 0.990 0.084
0.582 0.995 0.576
0.983 0.376 0.293
0.996 0.373 0.798
0.002 0.873 0.304
0.007 0.877 0.803
0.483 0.376 0.268
0.448 0.377 0.788
0.456 0.871 0.276
0.472 0.873 0.787
0.995 0.123 0.236
0.007 0.125 0.738
0.998 0.628 0.230
0.000 0.631 0.725
0.175 0.177 0.040
0.232 0.131 0.534
0.197 0.641 0.038
0.210 0.630 0.535
0.759 0.122 0.039
0.747 0.126 0.543
0.760 0.628 0.035
0.755 0.626 0.544
0.300 0.379 0.499
0.288 0.348 0.015
0.296 0.873 0.493
0.304 0.865 0.004
0.738 0.376 0.467
0.747 0.373 0.977
0.739 0.874 0.466
0.746 0.874 0.961
```
********
Within the next years as well as Armenians, the Azerbaijan population of Georgia on a regular basis addressed to the central authorities with complaints to an arbitrariness of the Georgian officials, but each time spontaneous discontent of representatives of the largest in the country ethnic minority skilfully disappeared and neutralized by official Tbilisi.
Edward Shevardnadze has approached to itself the most authoritative leaders of Diaspora and has entered Azerbaijanians into structure of parliament, and its friend and adherent Gejdar Aliev actively convinced fellow countrymen of necessity of display of loyalty to authorities of the country which citizens they are.
The conflict which has abated only for a while has renewed at once after a victory over Tbilisi of ” pink revolution “. In searches of the political decision of an obvious problem new authorities have preferred the effective special actions lead in region under aegis of struggle against corruption and contraband and directed as it has appeared, exclusively against representatives of the Azerbaijan Diaspora. The law and order in region has not guided by special troops, but has caused discontent of national minority, and only Bakus’ “connection” has allowed to avoid a new aggravation of a situation.
But lately conditions in areas of Georgia where lives azeri population has not changed. In the summer-autumn Georgian army have lead in Marneul and Gardaban areas the whole series of special operations as a result of which have been detained 200 arrested azeris.
Next to the piece, the page also holds materials data:
'''
## Na5Bi2AsC4O16 (PBE)

Data for crystalline Na5Bi2AsC4O16 at its relaxed geometry.

```
data_Na5Bi2AsC4O16
_symmetry_space_group_name_H-M 'C 1 2/c 1'
_symmetry_Int_Tables_number 15
_cell_length_a 14.7062
_cell_length_b 15.0247
_cell_length_c 10.3429
_cell_angle_alpha 90.00
_cell_angle_beta 134.43
_cell_angle_gamma 90.00
loop_
_symmetry_equiv_pos_as_xyz
'x,y,z'
'-x,-y,-z'
'-x,y,-z+1/2'
'x,-y,z+1/2'
'x+1/2,y+1/2,z'
'-x+1/2,-y+1/2,-z'
'-x+1/2,y+1/2,-z+1/2'
'x+1/2,-y+1/2,z+1/2'
loop_
_atom_site_label
_atom_site_fract_x
_atom_site_fract_y
_atom_site_fract_z
Na1 0.0000 0.0681 0.2500
Na2 0.2005 0.1254 0.1417
Na3 0.2006 0.1256 0.7591
Bi1 0.0000 0.5000 0.0000
Bi2 0.2500 0.2500 0.5000
As1 0.0000 0.1261 0.7500
C1 0.0015 0.2794 0.0619
C2 0.1958 0.4682 0.4450
O1 0.0006 0.0578 0.6140
O2 0.0565 0.3465 0.0632
O3 0.0705 0.2173 0.1856
O4 0.1227 0.2721 0.5606
O5 0.1392 0.4751 0.8150
O6 0.1398 0.1851 0.8902
O7 0.1886 0.4749 0.5634
O8 0.2361 0.0961 0.5377
```

Properties
- magnetic moment (μB per atom) = 0.000
- relative energy among the computed polymorphs (meV per atom) = 1
- calculated formation energy (eV per atom) = -1.863
- volume (Å³/f.u.) = 408
- total DFT energy (no corrections) (eV per cell) = -705.25

---

## Ba2SrTi3O9 (PBE)

Data for crystalline Ba2SrTi3O9 at its relaxed geometry.

```
data_Ba2SrTi3O9
_symmetry_space_group_name_H-M 'C m m 2'
_symmetry_Int_Tables_number 35
_cell_length_a 5.6444
_cell_length_b 16.9095
_cell_length_c 4.0980
_cell_angle_alpha 90.00
_cell_angle_beta 90.00
_cell_angle_gamma 90.00
loop_
_symmetry_equiv_pos_as_xyz
'x,y,z'
'-x,-y,z'
'-x,y,z'
'x,-y,z'
'x+1/2,y+1/2,z'
'-x+1/2,-y+1/2,z'
'-x+1/2,y+1/2,z'
'x+1/2,-y+1/2,z'
loop_
_atom_site_label
_atom_site_fract_x
_atom_site_fract_y
_atom_site_fract_z
Ba1 0.0000 0.1670 0.0000
Sr1 0.0000 0.5000 0.0098
Ti1 0.0000 0.0000 0.5193
Ti2 0.0000 0.3353 0.5188
O1 0.0000 0.0000 0.9694
O2 0.0000 0.3374 0.9695
O3 0.2470 0.4183 0.4780
O4 0.2500 0.2500 0.4832
```

Properties
- magnetic moment (μB per atom) = 0.000
- calculated formation energy (eV per atom) = -3.505
- volume (Å³/f.u.) = 196
- total DFT energy (no corrections) (eV per cell) = -240.27

---

## SrRuO3 (PBE)

Data for crystalline SrRuO3 at its relaxed geometry.

```
data_SrRuO3
_symmetry_space_group_name_H-M 'I 4/m c m'
_symmetry_Int_Tables_number 140
_symmetry_space_group_name_Hall '-I 4 2c'
_cell_length_a 5.5771
_cell_length_b 5.5771
_cell_length_c 8.0872
_cell_angle_alpha 90.00
_cell_angle_beta 90.00
_cell_angle_gamma 90.00
loop_
_atom_site_label
_atom_site_fract_x
_atom_site_fract_y
_atom_site_fract_z
Sr1 0.0000 0.5000 0.2500
Ru1 0.0000 0.0000 0.0000
O1 0.0000 0.0000 0.2500
O2 0.2008 0.2992 0.0000
```

Properties
- calculated formation energy (eV per atom) = -2.181
- volume (Å³/f.u.) = 63
- total DFT energy (no corrections) (eV per cell) = -138.60

---

## GdSi2Pt2 (PBE)

Data for crystalline GdSi2Pt2 at its relaxed geometry.

```
data_GdSi2Pt2
_symmetry_space_group_name_H-M 'C m m e'
_symmetry_Int_Tables_number 67
'''
Having under “nose” such threat, the Georgian government is continue the anti-Armenian policy, thus, creating the strained situation in Samtskhe-Javakhk instead of giving Armenians of this region these rights which must has the people living on its historical native land within the borders of other state.
- National archive of Russian Federation F. 5351, list 1, file 45, also look National Archive of Armenian Republic F200 list 1
- The Caucasian calendar for 1914year at110-141, the Caucasian calendar for 1917y, Tiflis, 191б at180-221, also look National Archive of Republic of Armenia F. 200 list 1
- Borba newspaper № 138, on August, 8th, 1918y
- Shambarov V.E. “BELOGVARDEYSHINA” – MOSCOW.: Publishing house ” eksmo-press “, 2002, .139
- National Archive of Armenian Republic F200 list 1, also look Ertoba newspaper, 1918г
- National Archive of Armenian Republic F200 list 1
- The newspaper Borba № 138, on August, 8th, 1918г
- Tigran Sahakian, Political and spiritually-cultural destiny of Gugark-Goderdzakan region of Great Armenia, from the beginning till 1980 years, Yerevan 2004, with-362
- A.V.Dmitriev, Migration disputed measurement, Moscow 2006, with-333